Sorry for my dumb question, but I'm quite a newbie on this stuff. First, I've a version of Nero I cannot understand. I set Nero to record DAO placing 'pause=0' and I can hear a little interruption of the sound between the 2 traces, so than recording a live CD is impossible. Maybe it's a fault of my burner (I'm forced to use the 'Virtual Image Recorder' with Nero and burning the .NRG file that Nero makes later, with Alcohol 120%, because Nero cannot see my burner. Therefore I'm tryng to make a cuesheet wit EAC, to burn it with Alcohol 120% later (if I add WAV wiles Alcohol 120% works, even if I add MP3 files Alcohol 120% dont', and only Nero does, but at least even in that case I can make a Nero .NRG Image). The question is this: in the 'Tools___Write CD-R' screen I can do three things: - Append Files As New Trax (Index 1) - Append Files As New Trax (Index 0 and 1) - Append Files As New Index and I can check the option 'Add 2 seconds gap on append'. Well, what't the difference between the 3 commands written above? I cannot understand the difference between 'Append Files As New Trax (Index 1)' and 'Append Files As New Trax (Index 0 and 1)' and I cannot understand the meaning of - Append Files As New Trax (Index 1) Append Files As New Index. What do I have to do when I compile a CD? And if I add 'mixed' traces (no pause between trace N and the previous one) what must I do?
hey aldaco, I frequently burn full-track mp3s to CDs with EAC. However I obtain the cue sheet first (there are tons of sites that have them, and even freeware that makes them). So when I burn mine I just go file > load cue sheet, and away it goes. I honestly don't know the difference between those three, so my suggestion would be to make the cue sheet on your own, then just load it into EAC.
[Calculated crystals that have nothing to do with the piece]
+++
# 1
# HoFeCo
Simulated powder diffractogram, copper Kα. Input: a GGA-PBE-relaxed structure.

Atomic structure:
```
HoFeCo
1.0
5.054 0.000 0.000
0.000 5.240 0.000
0.000 0.000 7.128
Ho Fe Co
4 4 4
Cartesian
0.000 1.310 0.889
0.000 3.930 6.239
2.527 1.310 2.675
2.527 3.930 4.453
1.263 1.310 5.346
1.263 3.930 1.782
3.790 1.310 5.346
3.790 3.930 1.782
0.000 0.000 3.564
0.000 2.620 3.564
2.527 0.000 0.000
2.527 2.620 0.000
```

Largest 6 diffraction maxima, low angle first, 2θ = 10–90°:
2θ = 35.26°, I = 93
2θ = 40.81°, I = 74
2θ = 41.68°, I = 100
2θ = 42.02°, I = 34
2θ = 66.39°, I = 24
2θ = 74.55°, I = 30



# 2
# Ho2Fe5Co12
Simulated powder diffractogram, copper Kα. Input: a GGA-PBE-relaxed structure.

Atomic structure:
```
Ho2Fe5Co12
1.0
8.354 0.000 0.000
-4.177 7.234 0.000
0.000 0.000 8.119
Ho Fe Co
4 10 24
Cartesian
0.000 0.000 2.030
0.000 0.000 6.090
0.000 4.823 2.030
4.177 2.411 6.090
-2.088 3.617 0.000
-2.088 3.617 4.060
0.000 4.823 4.922
0.000 4.823 7.257
4.177 0.000 0.000
4.177 0.000 4.060
2.088 3.617 0.000
2.088 3.617 4.060
4.177 2.411 0.863
4.177 2.411 3.197
-1.174 2.695 6.090
-2.430 4.871 6.090
0.000 2.373 0.142
0.000 2.373 3.917
-2.122 6.048 0.142
-2.122 6.048 3.917
1.174 2.695 6.090
-1.256 6.904 6.090
2.055 1.186 4.202
2.055 1.186 7.977
2.921 0.331 2.030
1.747 2.364 2.030
2.430 4.871 6.090
1.256 6.904 6.090
2.122 6.048 0.142
2.122 6.048 3.917
5.433 0.331 2.030
3.003 4.540 2.030
6.299 1.186 4.202
6.299 1.186 7.977
4.177 4.862 4.202
4.177 4.862 7.977
6.607 2.364 2.030
5.351 4.540 2.030
```

Largest 6 diffraction maxima, low angle first, 2θ = 10–90°:
2θ = 30.71°, I = 41
2θ = 37.29°, I = 41
2θ = 41.68°, I = 35
2θ = 43.33°, I = 60
2θ = 43.66°, I = 100
2θ = 44.64°, I = 32



# 3
# HoTiFe8Co3
Simulated powder diffractogram, copper Kα. Input: a GGA-PBE-relaxed structure.

Atomic structure:
```
HoTiFe8Co3
1.0
-2.362 4.231 4.200
2.362 -4.231 4.200
2.362 4.231 -4.200
Ho Ti Fe Co
1 1 8 3
Cartesian
0.000 0.000 0.000
0.000 0.000 3.189
1.183 2.103 -2.069
3.540 2.103 -2.069
2.362 1.858 0.047
2.362 0.000 1.901
-1.179 2.128 2.131
1.179 2.128 2.131
0.000 4.231 2.317
0.000 2.373 4.247
0.000 3.037 0.024
0.000 5.425 0.024
0.000 0.000 5.499
```

Largest 6 diffraction maxima, low angle first, 2θ = 10–90°:
2θ = 30.33°, I = 46
2θ = 37.12°, I = 29
2θ = 42.74°, I = 32
2θ = 43.10°, I = 100
2θ = 43.22°, I = 53
2θ = 43.95°, I = 82



# 4
# Mn3FeCo2P3
Simulated powder diffractogram, copper Kα. Input: a GGA-PBE-relaxed structure.

Atomic structure:
```
Mn3FeCo2P3
1.0
5.832 0.000 0.000
0.000 3.496 0.000
-0.022 0.000 20.059
Mn Fe Co P
12 4 8 12
Cartesian
0.000 0.000 0.000
5.823 0.000 6.681
5.815 0.000 13.369
2.586 1.748 3.344
2.586 1.748 10.026
2.579 1.748 16.715
2.913 0.000 1.080
2.906 0.000 7.774
2.898 0.000 14.461
5.485 1.748 17.797
5.505 1.748 4.427
5.496 1.748 11.115
1.886 1.748 19.340
1.903 1.748 5.974
1.897 1.748 12.659
4.823 1.748 1.801
0.673 0.000 9.332
0.668 0.000 16.018
0.699 0.000 2.652
3.607 0.000 5.114
3.596 0.000 11.805
3.594 0.000 18.493
4.824 1.748 8.467
+++
[Here the piece continues]
the cue sheets are for when you have a single long mp3 that contains the entire album (or in this case an entire live set). The cue sheet is nothing more that a small text document that has the time index of each track so programs can then split up the single mp3 accordingly. Here's an example of what one looks like: PERFORMER "Sandra Collins" TITLE "Tranceport 3" REM ID: a4114a0b TRACK 01 AUDIO TITLE "Astral Projection / Liquid Sun (Cass & Slide Mix)" PREGAP 00:02:00 INDEX 01 00:00:00 TRACK 02 AUDIO TITLE "Think Tank / F.U.B.A.R." INDEX 01 12:08:43 TRACK 03 AUDIO TITLE "Bradley / Rush (Echo's Wave Dub)" INDEX 01 15:25:67
Between two parts of the entry: data records.
- - -
Diffraction record for Ca2Ac8Pr3. The PXRD pattern is theoretical, not measured: it uses a DFT-relaxed cell (PBE, Alexandria) and Cu Ka.
Neutral-atom scattering factors, no anomalous dispersion.

Main lines, sorted by position (5 to 70 degrees two-theta):
| hkl | 2theta | I_rel |
| --- | --- | --- |
| 2 2 -1 | 22.80 | 50 |
| 2 2 1 | 26.35 | 38 |
| 4 0 -2 | 28.24 | 60 |
| 1 1 2 | 28.89 | 65 |
| 5 1 0 | 29.62 | 100 |
| 3 3 -1 | 32.42 | 27 |
| 3 3 1 | 36.36 | 21 |
| 6 2 -1 | 37.25 | 18 |
| 6 0 2 | 48.94 | 27 |
| 1 5 2 | 54.19 | 22 |

Atomic structure:
a b c (Å): 16.628 9.912 7.437
angles (deg): 90.00 107.71 90.00
Space group C2/m (No. 12)
Asymmetric unit:
Ca (0.200, 0.000, 0.421) (multiplicity 4)
Ac (0.095, 0.500, 0.708) (multiplicity 4)
Ac (0.114, 0.318, 0.189) (multiplicity 8)
Ac (0.188, 0.000, 0.893) (multiplicity 4)
Pr (0.000, 0.000, 0.000) (multiplicity 2)
Pr (0.000, 0.163, 0.500) (multiplicity 4)

=====

The following is a computed XRD peak list of Na2Ga5Au12. It was derived from DFT lattice parameters and positions (GGA-PBE), using Cu Ka.
Peak positions follow from Bragg's law for the DFT cell and can differ from measured ones.

The 10 most intense peaks (2θ = 10–90°), sorted by position:
| d/Å | I (rel.) |
| --- | --- |
| 4.766 | 59.5 |
| 2.751 | 17.5 |
| 2.379 | 100.0 |
| 2.367 | 29.8 |
| 2.128 | 75.0 |
| 2.120 | 28.5 |
| 1.376 | 16.4 |
| 1.369 | 15.5 |
| 1.316 | 16.5 |
| 1.189 | 16.1 |

```
data_Na2Ga5Au12
_chemical_formula_sum 'Na2 Ga5 Au12'
_cell_length_a 7.2588
_cell_length_b 7.2588
_cell_length_c 7.2588
_cell_angle_alpha 82.07
_cell_angle_beta 82.07
_cell_angle_gamma 82.07
_symmetry_space_group_name_H-M 'P 1'
_symmetry_Int_Tables_number 1
_symmetry_space_group_name_Hall 'P 1'
loop_
_atom_site_label
_atom_site_fract_x
_atom_site_fract_y
_atom_site_fract_z
_atom_site_occupancy
Na1 0.1393 0.1393 0.1393 1
Na2 0.8607 0.8607 0.8607 1
Ga1 0.0000 0.5000 0.5000 1
Ga2 0.4133 0.4133 0.4133 1
Ga3 0.5000 0.0000 0.5000 1
Ga4 0.5000 0.5000 0.0000 1
Ga5 0.5867 0.5867 0.5867 1
Au1 0.1715 0.5000 0.8285 1
Au2 0.1715 0.8285 0.5000 1
Au3 0.1767 0.1767 0.6352 1
Au4 0.1767 0.6352 0.1767 1
Au5 0.3648 0.8233 0.8233 1
Au6 0.5000 0.1715 0.8285 1
Au7 0.5000 0.8285 0.1715 1
Au8 0.6352 0.1767 0.1767 1
Au9 0.8233 0.3648 0.8233 1
Au10 0.8233 0.8233 0.3648 1
Au11 0.8285 0.1715 0.5000 1
Au12 0.8285 0.5000 0.1715 1
```

The following is a computed XRD peak list of RbSmTe3Au. It was derived from DFT lattice parameters and positions (GGA-PBE), using Cu Ka.
Peak positions follow from Bragg's law for the DFT cell and can differ from measured ones.

The 10 most intense peaks (2θ = 10–90°), sorted by position:
| d/Å | I (rel.) |
| --- | --- |
| 8.709 | 100.0 |
| 3.480 | 22.4 |
| 3.331 | 59.1 |
| 2.971 | 65.4 |
| 2.845 | 24.3 |
| 2.704 | 13.1 |
| 2.454 | 47.9 |
| 2.178 | 29.0 |
| 1.906 | 20.1 |
| 1.877 | 13.4 |

```
data_RbSmTe3Au
_chemical_formula_sum 'Rb2 Sm2 Te6 Au2'
_cell_length_a 8.9774
_cell_length_b 8.9774
_cell_length_c 11.3804
_cell_angle_alpha 90.00
- - -
I need a cuesheet because only Alcohol 120% woks, with my burner, and it can only load CUE/BIN or images. Can you answer to my question (an audio CD (some track live) with CUE and the 3 differend commands you can give to EAC?)
Calculated crystals, kept here for reference:
____________
Structure and theoretical PXRD pattern of MoP4Au (a cell relaxed with PBE; Cu Kα X-rays).
Neutral-atom scattering factors, no anomalous dispersion.

Cell and atoms:
a = 5.0321 Å, b = 5.0321 Å, c = 5.0321 Å
α = 60.00°, β = 60.00°, γ = 60.00°
Element x y z (fractional)
Mo1 0.0000 0.0000 0.0000
P1 0.1207 0.6264 0.6264
P2 0.6264 0.1207 0.6264
P3 0.6264 0.6264 0.1207
P4 0.6264 0.6264 0.6264
Au1 0.2500 0.2500 0.2500

Most intense lines, 2θ from 10° to 90°, low angle first:
2theta  Rel. int.
21.6  597
25.0  126
35.7  898
42.1  1000
56.4  158
64.1  326
68.5  315
75.6  198
79.7  116
86.5  151


Structure and theoretical PXRD pattern of MoPb2Au (a cell relaxed with PBE; Cu Kα X-rays).
Neutral-atom scattering factors, no anomalous dispersion.

Cell and atoms:
a = 4.4401 Å, b = 4.4557 Å, c = 8.8208 Å
α = 90.00°, β = 90.00°, γ = 90.00°
Element x y z (fractional)
Mo1 0.0000 0.0000 0.0000
Mo2 0.5000 0.5000 0.5000
Pb1 0.0000 0.5000 0.2500
Pb2 0.0000 0.5000 0.7500
Pb3 0.5000 0.0000 0.2500
Pb4 0.5000 0.0000 0.7500
Au1 0.0000 0.0000 0.5000
Au2 0.5000 0.5000 0.0000

Most intense lines, 2θ from 10° to 90°, low angle first:
2theta  Rel. int.
35.0  1000
40.5  169
40.6  167
40.9  164
58.7  115
58.9  114
70.1  137
70.3  136
70.7  134
74.0  118


Structure and theoretical PXRD pattern of MoPb4Au (a cell relaxed with PBE; Cu Kα X-rays).
Neutral-atom scattering factors, no anomalous dispersion.

Cell and atoms:
a = 6.2808 Å, b = 6.2808 Å, c = 6.2808 Å
α = 60.00°, β = 60.00°, γ = 60.00°
Element x y z (fractional)
Mo1 0.0000 0.0000 0.0000
Pb1 0.1237 0.6254 0.6254
Pb2 0.6254 0.1237 0.6254
Pb3 0.6254 0.6254 0.1237
Pb4 0.6254 0.6254 0.6254
Au1 0.2500 0.2500 0.2500

Most intense lines, 2θ from 10° to 90°, low angle first:
2theta  Rel. int.
17.3  179
28.4  173
33.5  1000
35.0  520
40.6  105
53.6  357
58.8  326
69.4  126
70.3  216
83.6  236


Structure and theoretical PXRD pattern of Mo2RuAu (a cell relaxed with PBE; Cu Kα X-rays).
Neutral-atom scattering factors, no anomalous dispersion.

Cell and atoms:
a = 2.8183 Å, b = 3.9520 Å, c = 5.7225 Å
α = 90.00°, β = 90.00°, γ = 90.00°
Element x y z (fractional)
Mo1 0.0000 0.0000 0.0000
Mo2 0.5000 0.5000 0.2500
Ru1 0.0000 0.0000 0.4500
Au1 0.5000 0.5000 0.7337

Most intense lines, 2θ from 10° to 90°, low angle first:
2theta  Rel. int.
27.4  179
38.9  976
39.3  1000
45.2  633
45.9  318
66.4  502
78.8  211
79.6  241
80.2  118
80.5  124


Structure and theoretical PXRD pattern of Mo2RuAu (a cell relaxed with PBE; Cu Kα X-rays).
Neutral-atom scattering factors, no anomalous dispersion.

Cell and atoms:
a = 2.8106 Å, b = 3.9817 Å, c = 5.6237 Å
α = 90.00°, β = 90.00°, γ = 90.00°
Element x y z (fractional)
Mo1 0.0000 0.0000 0.2256
Mo2 0.0000 0.0000 0.7744
Ru1 0.5000 0.5000 0.0000
Au1 0.5000 0.5000 0.5000

Most intense lines, 2θ from 10° to 90°, low angle first:
2theta  Rel. int.
22.3  46
27.4  81
31.8  43
35.7  42
39.2  1000
45.6  482
66.5  303
80.0  236
80.0  123
84.3  106
____________
Here the page continues:
honestly I'm not quite sure, but from looking at the cue sheets I have I see that they use index 01 as a reference to the start time of the track. So I would try the first one. And if its a live set and you want to burn it without gaps, be sure to uncheck the 2 second gap between tracks option. I've never used alcohol 120, but I do know that cue mp3 files are different than bin/cue files, so I'm not sure alcohol will recognize the cue file. you can just burn it in eac if you, but why does it only work with alcohol 120?
also if you can't get EAC to work, I sometimes use mp3 surgeon. it can split up files and create cue sheets